-- Work order --
What is needed: count the lines underneath that contain the word "Space" and give the number alone.

-- File --
- - -
VASP calculation (PBE) on a relaxed LiCa3 crystal.

a b c (Å): 6.6653 6.6653 6.6653
angles (deg): 134.09 134.09 66.94
Sites, in units of the cell vectors:
Ca: 0.5000 0.5000 0.0000
Ca: 0.7500 0.2500 0.5000
Ca: 0.2500 0.7500 0.5000
Li: 0.0000 0.0000 0.0000

Output
Total magnetization in μB per formula unit: 0.02
ΔH_f (0 K) in eV/f.u.: 0.29
Energy relative to the lowest polymorph listed for this composition in eV per formula unit: 0.04
Space group: I4/mmm
Volume in Å³ per cell: 150
Final energy in eV/atom: -1.908



VASP calculation (PBE) on a relaxed CeU2O6 crystal.

a b c (Å): 8.6198 8.6198 8.6198
angles (deg): 154.31 154.31 36.64
Sites, in units of the cell vectors:
O: 0.2500 0.7500 0.5000
O: 0.5882 0.0882 0.5000
O: 0.0882 0.5882 0.5000
O: 0.4118 0.9118 0.5000
O: 0.9118 0.4118 0.5000
O: 0.7500 0.2500 0.5000
U: 0.3338 0.3338 0.0000
U: 0.6662 0.6662 0.0000
Ce: 0.0000 0.0000 0.0000

Output
ΔH_f (0 K) in eV/f.u.: -34.67
Energy relative to the lowest polymorph listed for this composition in eV per formula unit: 0.05
Space group: I4/mmm
Volume in Å³ per cell: 120
Final energy in eV/atom: -9.861

* * * * *

[1]
First-principles (GGA-PBE) data for crystalline Ti6Ga16Ni7 at its relaxed geometry, as listed in the Materials Project.

Geometry as CIF:
```
data_Ti6Ga16Ni7
_chemical_formula_sum 'Ti24 Ga64 Ni28'
_space_group_name_H-M_alt 'F m -3 m'
_space_group_IT_number 225
_space_group_name_Hall '-F 4 2 3'
_cell_length_a 11.8596
_cell_length_b 11.8596
_cell_length_c 11.8596
_cell_angle_alpha 90.00
_cell_angle_beta 90.00
_cell_angle_gamma 90.00
loop_
_atom_site_label
_atom_site_fract_x
_atom_site_fract_y
_atom_site_fract_z
Ti1 0.0000 0.0000 0.1889
Ga1 0.1210 0.1210 0.3790
Ga2 0.1565 0.1565 0.1565
Ni1 0.0000 0.0000 0.5000
Ni2 0.0000 0.2500 0.2500
```

---

[2]
First-principles (GGA-PBE) data for crystalline Tm3Ga2Ni6 at its relaxed geometry, as listed in the Materials Project.

Geometry as CIF:
```
data_Tm3Ga2Ni6
_chemical_formula_sum 'Tm12 Ga8 Ni24'
_space_group_name_H-M_alt 'I m -3 m'
_space_group_IT_number 229
_space_group_name_Hall '-I 4 2 3'
_cell_length_a 8.8137
_cell_length_b 8.8137
_cell_length_c 8.8137
_cell_angle_alpha 90.00
_cell_angle_beta 90.00
_cell_angle_gamma 90.00
loop_
_atom_site_label
_atom_site_fract_x
_atom_site_fract_y
_atom_site_fract_z
Tm1 0.0000 0.0000 0.2903
Ga1 0.2500 0.2500 0.2500
Ni1 0.0000 0.3386 0.3386
```

---

[3]
First-principles (GGA-PBE) data for crystalline Tm2GaNi2 at its relaxed geometry, as listed in the Materials Project.

Geometry as CIF:
```
data_Tm2GaNi2
_chemical_formula_sum 'Tm4 Ga2 Ni4'
_space_group_name_H-M_alt 'I m m m'
_space_group_IT_number 71
_space_group_name_Hall '-I 2 2'
_cell_length_a 4.1499
_cell_length_b 5.3523
_cell_length_c 8.1593
_cell_angle_alpha 90.00
_cell_angle_beta 90.00
_cell_angle_gamma 90.00
loop_
_atom_site_label
_atom_site_fract_x
_atom_site_fract_y
_atom_site_fract_z
Tm1 0.0000 0.0000 0.2037
Ga1 0.0000 0.5000 0.0000
Ni1 0.0000 0.2726 0.5000
```

---

[4]
First-principles (GGA-PBE) data for crystalline TmGa4Ni at its relaxed geometry, as listed in the Materials Project.

Geometry as CIF:
```
data_TmGa4Ni
_chemical_formula_sum 'Tm4 Ga16 Ni4'
_space_group_name_H-M_alt 'C m c m'
_space_group_IT_number 63
_space_group_name_Hall '-C 2c 2'
_cell_length_a 4.1069
_cell_length_b 15.1483
_cell_length_c 6.5937
_cell_angle_alpha 90.00
_cell_angle_beta 90.00
_cell_angle_gamma 90.00
loop_
_atom_site_label
_atom_site_fract_x
_atom_site_fract_y
_atom_site_fract_z
Tm1 0.0000 0.1198 0.2500
Ga1 0.0000 0.0707 0.7500
Ga2 0.0000 0.3152 0.0510
Ga3 0.0000 0.5000 0.0000
Ni1 0.0000 0.2256 0.7500
```

---

[5]
First-principles (GGA-PBE) data for crystalline Tm4Ga21Ni10 at its relaxed geometry, as listed in the Materials Project.

Geometry as CIF:
```
data_Tm4Ga21Ni10
_chemical_formula_sum 'Tm8 Ga42 Ni20'
_space_group_name_H-M_alt 'C 1 2/m 1'
_space_group_IT_number 12
_cell_length_a 20.7708
_cell_length_b 4.0465
_cell_length_c 15.5064
_cell_angle_alpha 90.00
_cell_angle_beta 123.67
- - -

-- Here it is --
2